Source =
~~~
1.
LiCdPb3: relaxed, PBE.

```
5
Lattice="5.721 0.000 0.000 0.000 5.721 0.000 0.000 0.000 5.721" Properties=species:S:1:pos:R:3 pbc="T T T"
Li 0.000 0.000 0.000
Cd 2.860 2.860 2.860
Pb 0.000 2.860 2.860
Pb 2.860 0.000 2.860
Pb 2.860 2.860 0.000
```

=====

2.
PmYCo4: relaxed, PBE.

```
6
Lattice="0.000 3.621 3.621 3.621 0.000 3.621 3.621 3.621 0.000" Properties=species:S:1:pos:R:3 pbc="T T T"
Pm 0.000 0.000 0.000
Y 1.810 1.810 1.810
Co 4.525 2.717 2.717
Co 2.717 4.525 2.717
Co 2.717 2.717 4.525
Co 4.525 4.525 4.525
```

=====

3.
ThMnTcGe2: relaxed, PBE.

```
10
Lattice="4.153 0.000 0.000 0.000 4.153 0.000 0.000 0.000 10.756" Properties=species:S:1:pos:R:3 pbc="T T T"
Th 0.000 0.000 0.000
Th 2.077 2.077 5.378
Mn 0.000 2.077 8.067
Mn 2.077 0.000 2.689
Tc 0.000 2.077 2.689
Tc 2.077 0.000 8.067
Ge 0.000 0.000 4.066
Ge 0.000 0.000 6.690
Ge 2.077 2.077 1.312
Ge 2.077 2.077 9.444
```

=====

| no. | formation enthalpy at 0 K (eV per atom) | M_tot (μB/f.u.) |
| --- | --- | --- |
| 1 | 0.358 | 0.00 |
| 2 | -0.121 | 3.83 |
| 3 | -0.489 | 2.85 |

~~~~~

Record 1
Ba2Mg6InPt | PBE-GGA | optimized geometry

Fermi-level density of states: 0.811 states/eV/atom
total moment: 0.02 Bohr magnetons per cell
electronic total energy: -2.434 eV per atom
volume: 30.8 Å³/atom
theoretical density: 3940 kg/m3
space group: No. 225
formation enthalpy at 0 K: -0.2148 eV per atom

Cell: 7.579 7.579 7.579 Å, 60.00 60.00 60.00°
Sites, in units of the cell vectors:
Ba  0.250  0.250  0.250
Ba  0.750  0.750  0.750
Mg  0.236  0.236  0.764
Mg  0.236  0.764  0.236
Mg  0.236  0.764  0.764
Mg  0.764  0.236  0.236
Mg  0.764  0.236  0.764
Mg  0.764  0.764  0.236
In  0.500  0.500  0.500
Pt  0.000  0.000  0.000

=====

Record 2
Ba2MgInPt | PBE-GGA | optimized geometry

Fermi-level density of states: 0.820 states/eV/atom
total moment: 0.00 Bohr magnetons per cell
electronic total energy: -3.205 eV per atom
volume: 39.9 Å³/atom
theoretical density: 5062 kg/m3
space group: No. 123
formation enthalpy at 0 K: -0.3613 eV per atom
polymorph energy (0 for the lowest one): 0.056 eV/atom

Cell: 6.179 6.179 5.231 Å, 90.00 90.00 90.00°
Sites, in units of the cell vectors:
Ba  0.000  0.500  0.000
Ba  0.500  0.000  0.000
Mg  0.000  0.000  0.500
In  0.500  0.500  0.500
Pt  0.500  0.500  0.000

=====

Record 3
RbBaMgIn | PBE-GGA | optimized geometry

Fermi-level density of states: 0.423 states/eV/atom
total moment: 0.00 Bohr magnetons per cell
electronic total energy: -1.845 eV per atom
volume: 35.8 Å³/atom
theoretical density: 4198 kg/m3
space group: No. 216
formation enthalpy at 0 K: -0.0391 eV per atom

Cell: 8.304 8.304 8.304 Å, 90.00 90.00 90.00°
Sites, in units of the cell vectors:
Rb  0.000  0.000  0.000
Rb  0.000  0.500  0.500
Rb  0.500  0.000  0.500
Rb  0.500  0.500  0.000
Ba  0.250  0.250  0.250
Ba  0.250  0.750  0.750
Ba  0.750  0.250  0.750
Ba  0.750  0.750  0.250
Mg  0.250  0.250  0.750
Mg  0.250  0.750  0.250
Mg  0.750  0.250  0.250
Mg  0.750  0.750  0.750
In  0.000  0.000  0.500
In  0.000  0.500  0.000
In  0.500  0.000  0.000
In  0.500  0.500  0.500

=====

Record 4
Ba2MgInRh | PBE-GGA | optimized geometry

Fermi-level density of states: 1.021 states/eV/atom
total moment: 0.00 Bohr magnetons per cell
electronic total energy: -3.262 eV per atom
volume: 36.7 Å³/atom
theoretical density: 4680 kg/m3
space group: No. 123
formation enthalpy at 0 K: -0.1561 eV per atom
polymorph energy (0 for the lowest one): 0.022 eV/atom

Cell: 6.028 6.028 5.044 Å, 90.00 90.00 90.00°
Sites, in units of the cell vectors:
Ba  0.000  0.500  0.000
Ba  0.500  0.000  0.000
Mg  0.000  0.000  0.500
In  0.500  0.500  0.500
Rh  0.000  0.000  0.000

=====

Record 5
Ba2MgInRh | PBE-GGA | optimized geometry

Fermi-level density of states: 0.778 states/eV/atom
total moment: 0.00 Bohr magnetons per cell
electronic total energy: -3.284 eV per atom
volume: 38.2 Å³/atom
theoretical density: 4491 kg/m3
space group: No. 123
formation enthalpy at 0 K: -0.1780 eV per atom
~~~

What to do =
What is needed: print the rows further up character by character.

Reply =
1.
LiCdPb3: relaxed, PBE.

```
5
Lattice="5.721 0.000 0.000 0.000 5.721 0.000 0.000 0.000 5.721" Properties=species:S:1:pos:R:3 pbc="T T T"
Li 0.000 0.000 0.000
Cd 2.860 2.860 2.860
Pb 0.000 2.860 2.860
Pb 2.860 0.000 2.860
Pb 2.860 2.860 0.000
```

=====

2.
PmYCo4: relaxed, PBE.

```
6
Lattice="0.000 3.621 3.621 3.621 0.000 3.621 3.621 3.621 0.000" Properties=species:S:1:pos:R:3 pbc="T T T"
Pm 0.000 0.000 0.000
Y 1.810 1.810 1.810
Co 4.525 2.717 2.717
Co 2.717 4.525 2.717
Co 2.717 2.717 4.525
Co 4.525 4.525 4.525
```

=====

3.
ThMnTcGe2: relaxed, PBE.

```
10
Lattice="4.153 0.000 0.000 0.000 4.153 0.000 0.000 0.000 10.756" Properties=species:S:1:pos:R:3 pbc="T T T"
Th 0.000 0.000 0.000
Th 2.077 2.077 5.378
Mn 0.000 2.077 8.067
Mn 2.077 0.000 2.689
Tc 0.000 2.077 2.689
Tc 2.077 0.000 8.067
Ge 0.000 0.000 4.066
Ge 0.000 0.000 6.690
Ge 2.077 2.077 1.312
Ge 2.077 2.077 9.444
```

=====

| no. | formation enthalpy at 0 K (eV per atom) | M_tot (μB/f.u.) |
| --- | --- | --- |
| 1 | 0.358 | 0.00 |
| 2 | -0.121 | 3.83 |
| 3 | -0.489 | 2.85 |

~~~~~

Record 1
Ba2Mg6InPt | PBE-GGA | optimized geometry

Fermi-level density of states: 0.811 states/eV/atom
total moment: 0.02 Bohr magnetons per cell
electronic total energy: -2.434 eV per atom
volume: 30.8 Å³/atom
theoretical density: 3940 kg/m3
space group: No. 225
formation enthalpy at 0 K: -0.2148 eV per atom

Cell: 7.579 7.579 7.579 Å, 60.00 60.00 60.00°
Sites, in units of the cell vectors:
Ba  0.250  0.250  0.250
Ba  0.750  0.750  0.750
Mg  0.236  0.236  0.764
Mg  0.236  0.764  0.236
Mg  0.236  0.764  0.764
Mg  0.764  0.236  0.236
Mg  0.764  0.236  0.764
Mg  0.764  0.764  0.236
In  0.500  0.500  0.500
Pt  0.000  0.000  0.000

=====

Record 2
Ba2MgInPt | PBE-GGA | optimized geometry

Fermi-level density of states: 0.820 states/eV/atom
total moment: 0.00 Bohr magnetons per cell
electronic total energy: -3.205 eV per atom
volume: 39.9 Å³/atom
theoretical density: 5062 kg/m3
space group: No. 123
formation enthalpy at 0 K: -0.3613 eV per atom
polymorph energy (0 for the lowest one): 0.056 eV/atom

Cell: 6.179 6.179 5.231 Å, 90.00 90.00 90.00°
Sites, in units of the cell vectors:
Ba  0.000  0.500  0.000
Ba  0.500  0.000  0.000
Mg  0.000  0.000  0.500
In  0.500  0.500  0.500
Pt  0.500  0.500  0.000

=====

Record 3
RbBaMgIn | PBE-GGA | optimized geometry

Fermi-level density of states: 0.423 states/eV/atom
total moment: 0.00 Bohr magnetons per cell
electronic total energy: -1.845 eV per atom
volume: 35.8 Å³/atom
theoretical density: 4198 kg/m3
space group: No. 216
formation enthalpy at 0 K: -0.0391 eV per atom

Cell: 8.304 8.304 8.304 Å, 90.00 90.00 90.00°
Sites, in units of the cell vectors:
Rb  0.000  0.000  0.000
Rb  0.000  0.500  0.500
Rb  0.500  0.000  0.500
Rb  0.500  0.500  0.000
Ba  0.250  0.250  0.250
Ba  0.250  0.750  0.750
Ba  0.750  0.250  0.750
Ba  0.750  0.750  0.250
Mg  0.250  0.250  0.750
Mg  0.250  0.750  0.250
Mg  0.750  0.250  0.250
Mg  0.750  0.750  0.750
In  0.000  0.000  0.500
In  0.000  0.500  0.000
In  0.500  0.000  0.000
In  0.500  0.500  0.500

=====

Record 4
Ba2MgInRh | PBE-GGA | optimized geometry

Fermi-level density of states: 1.021 states/eV/atom
total moment: 0.00 Bohr magnetons per cell
electronic total energy: -3.262 eV per atom
volume: 36.7 Å³/atom
theoretical density: 4680 kg/m3
space group: No. 123
formation enthalpy at 0 K: -0.1561 eV per atom
polymorph energy (0 for the lowest one): 0.022 eV/atom

Cell: 6.028 6.028 5.044 Å, 90.00 90.00 90.00°
Sites, in units of the cell vectors:
Ba  0.000  0.500  0.000
Ba  0.500  0.000  0.000
Mg  0.000  0.000  0.500
In  0.500  0.500  0.500
Rh  0.000  0.000  0.000

=====

Record 5
Ba2MgInRh | PBE-GGA | optimized geometry

Fermi-level density of states: 0.778 states/eV/atom
total moment: 0.00 Bohr magnetons per cell
electronic total energy: -3.284 eV per atom
volume: 38.2 Å³/atom
theoretical density: 4491 kg/m3
space group: No. 123
formation enthalpy at 0 K: -0.1780 eV per atom